_Data_
+++
A 2-piece molecular cluster, C6H16NO2Si overall in a non-equilibrium geometry, computed with the ωB97M-V functional and the def2-TZVPD basis.

Computed properties:
Energy = -19939.7936 eV
Highest occupied orbital energy (alpha / beta) = -1.762 / -1.761 eV
Kohn-Sham gap (alpha / beta) = 4.916 / 4.914 eV
Net charge = -1

Geometry as XYZ:
```
26
Properties=species:S:1:pos:R:3:forces:R:3
C -5.431 0.576 -0.125 -0.4933 2.9738 -3.8956
C 2.727 -1.802 -0.070 -0.5268 -0.4411 0.2148
C 3.091 0.594 -1.519 -1.0934 1.4785 1.8056
C 2.860 0.934 1.630 1.9996 -2.5913 1.3944
C -3.980 0.446 -0.421 0.4656 -2.6144 0.2210
C 0.317 0.093 0.338 1.5548 -2.2405 -1.7897
N -2.562 -1.297 0.547 0.8322 -0.5355 -2.7519
O -2.349 -1.622 -0.605 -1.2505 1.3316 3.5124
O -3.305 -0.073 0.748 0.0619 -1.0595 -0.6944
Si 2.073 -0.030 0.172 0.3440 0.8787 -1.1944
H -5.694 1.336 0.577 -0.1348 0.7517 0.2958
H -5.939 0.798 -1.222 0.8760 -0.3963 2.8794
H -5.786 -0.307 0.229 -1.1114 -2.6910 0.8396
H 2.370 -2.385 0.799 0.7075 -0.1684 -0.3583
H 2.456 -2.341 -0.999 -0.6672 0.4840 0.3836
H 3.799 -1.740 -0.231 0.4775 -0.0919 0.7997
H 3.179 -0.262 -2.175 -0.3807 0.1845 -0.6106
H 2.541 1.521 -1.845 0.2918 -1.1992 -0.4818
H 4.092 0.966 -1.311 0.3804 -0.1549 0.2579
H 3.902 0.519 1.937 -1.3093 0.2504 -0.6719
H 3.113 1.941 1.468 -0.1937 1.5627 -0.4268
H 2.314 0.808 2.585 -0.1769 0.2771 -0.6214
H -3.413 1.281 -0.707 0.3030 1.3887 -0.6699
H -3.925 -0.350 -1.199 0.4130 0.7707 0.2761
H -0.327 0.747 0.786 -1.2518 1.9305 1.2966
H -0.191 -0.530 -0.397 -0.1177 -0.0789 -0.0102
```
Forces are in eV/Å.

~~~~~

# 1
Formula: C25H44AuO2P2
Source: the OMol25 dataset
Level of theory: ωB97M-V/def2-TZVPD

Computed properties:
energy above the lowest of the compared OMol25 structures with the same formula, charge and spin: 21.5 kcal/mol
charge: +1
HOMO level (spin up / spin down): -7.9 / -9.1 eV
multiplicity: 3
⟨S²⟩: 2.0219
frontier orbital gap (spin up / spin down): 0.2033 / 0.2134 Ha

Positions of all 74 atoms, in Å:
Au  1.14  -2.15  -3.23
C  -1.60  -1.33  0.47
C  -1.34  -2.41  -0.41
C  0.69  -1.56  0.35
C  -0.35  -0.83  0.96
C  0.07  -2.60  -0.42
C  -2.91  -0.97  1.02
H  -3.72  -1.19  0.31
H  -2.96  0.09  1.29
H  -3.11  -1.54  1.94
C  -0.18  0.15  2.06
H  -1.04  0.12  2.75
H  -0.08  1.19  1.70
H  0.73  -0.12  2.61
C  2.12  -1.39  0.63
H  2.35  -1.60  1.69
H  2.44  -0.36  0.44
H  2.74  -2.06  0.02
C  0.71  -3.91  -0.68
H  0.23  -4.67  -0.03
H  1.78  -3.86  -0.43
H  0.65  -4.20  -1.74
C  -2.38  -3.29  -0.99
H  -2.88  -3.85  -0.18
H  -1.96  -4.01  -1.71
H  -3.17  -2.72  -1.50
C  -1.09  3.16  -0.83
C  -1.11  1.79  -0.86
C  -1.62  0.96  -1.98
C  -1.54  1.66  -3.34
C  -0.09  1.61  -3.76
C  0.91  2.65  -3.32
C  0.81  3.61  -2.41
C  -0.48  4.12  -1.84
H  -2.66  0.64  -1.79
H  -1.88  2.69  -3.29
H  -1.04  0.02  -2.04
H  -1.24  4.37  -2.60
H  -1.42  3.65  0.09
H  -1.05  1.28  0.10
H  -0.31  5.08  -1.32
H  1.47  1.93  -0.14
H  1.94  2.39  -3.64
H  1.72  4.08  -2.05
H  -2.19  1.09  -4.04
H  0.37  0.65  -3.43
P  -0.01  1.22  -5.54
C  -0.12  2.86  -6.29
C  -1.37  0.23  -6.19
P  1.76  -1.36  -5.17
C  1.52  0.34  -5.85
C  1.05  -2.50  -6.40
C  3.55  -1.57  -5.34
H  0.71  3.49  -5.93
H  -1.06  3.34  -5.96
H  -0.11  2.81  -7.39
H  -1.44  0.40  -7.28
H  -2.33  0.56  -5.76
H  -1.25  -0.85  -5.99
H  3.82  -1.34  -6.39
H  3.79  -2.60  -5.08
H  4.04  -0.87  -4.65
H  2.35  0.98  -5.49
H  1.58  0.23  -6.95
H  1.64  -3.42  -6.31
H  1.15  -2.08  -7.41
H  0.00  -2.71  -6.17
C  3.60  2.81  2.06
C  2.28  2.73  1.38
O  2.37  1.94  0.26
O  1.25  3.27  1.76
H  4.41  2.60  1.35
H  3.63  2.07  2.87
H  3.70  3.80  2.49

# 2
Formula: C2H10N6O2
Source: the OMol25 dataset
Level of theory: ωB97M-V/def2-TZVPD

Computed properties:
charge: +2
HOMO level (spin up / spin down): -12.2 / -18.7 eV
multiplicity: 3
⟨S²⟩: 2.0156
frontier orbital gap (spin up / spin down): 0.1448 / 0.1887 Ha

Positions of all 20 atoms, in Å:
C  3.25  0.41  0.36
C  -1.13  0.26  -0.28
N  -0.09  -1.67  0.29
N  1.96  0.77  0.33
N  -2.22  -0.36  0.18
N  0.06  -0.38  -0.25
+++

_Job_
Write out every line above that contains the word "level".

_Written answer_
HOMO level (spin up / spin down): -7.9 / -9.1 eV
HOMO level (spin up / spin down): -12.2 / -18.7 eV